The U.S. Navy Reserve’s Fighter Jets Are Going Extinct

War Is Boring
War Is Boring
Published in
6 min readFeb 20, 2015


And the admirals don’t seem to care


In late 2002, the U.S. military was mobilizing for war in Iraq. In a rare move, the Navy activated one of its reserve fighter squadrons—VFA-201, flying early-model F/A-18 Hornets from Fort Worth, Texas. VFA-201 launched 210 strike missions from the deck of the aircraft carrier USS Theodore Roosevelt, dropping 110 tons of ordnance on Iraqi targets.

Inserted here: calculated molecules
/*
58
Properties=species:S:1:pos:R:3:forces:R:3 method="wB97M-V/def2-TZVPD" homo_lumo_gap_ha="0.2312 / 0.2950" spin_multiplicity=4 lumo_ev="2.08 / 1.90" de_lowest_kcal_mol=6.5 charge=-1 e_tot_ev=-88941.2668
V -1.73093 -0.50918 -0.80690 -0.5936 0.6203 -0.4003
O -1.17661 -3.27259 -1.07405 -0.2140 -0.1096 -0.2298
N -0.98220 -2.27580 -0.13504 -0.2027 0.3710 -0.2890
C -0.73195 -2.74390 1.01641 0.3088 -0.7180 0.5982
C -0.53191 -2.03763 2.28677 0.0014 0.1440 0.1435
C -0.43325 -2.88125 3.39922 -0.0126 -0.1555 -0.0889
C -0.30975 -2.39444 4.68593 0.0069 0.0130 0.0068
C -0.27946 -1.02578 4.89650 0.0065 0.0433 0.0299
C -0.35345 -0.16887 3.81043 0.0156 -0.0400 0.0113
C -0.46923 -0.64757 2.50931 -0.0270 -0.0166 0.0253
P -0.51007 0.50166 1.10376 0.0217 -0.1319 -0.5034
C 1.25351 0.71575 0.70036 0.0591 0.0996 0.1270
C 2.23911 -0.15367 1.15821 -0.0559 0.0386 0.0055
C 3.54970 -0.02164 0.71616 -0.0117 -0.0240 0.0236
C 3.87940 0.97924 -0.18206 0.0043 0.0461 -0.0149
C 2.90000 1.85678 -0.63363 0.0441 0.0151 -0.0527
C 1.59324 1.73062 -0.19784 -0.0095 -0.1249 0.0164
C -1.03630 2.10694 1.74743 -0.0381 0.0220 0.0590
C -2.35167 2.47192 1.46612 0.0560 0.0601 0.0510
C -2.83327 3.69837 1.90682 -0.0441 -0.0548 -0.0363
C -2.00523 4.55728 2.61127 0.0065 0.0246 0.0170
C -0.68720 4.20219 2.87434 0.0351 0.0346 0.0332
C -0.19942 2.98060 2.44182 -0.0705 -0.0113 -0.0496
H -1.88441 -2.88211 -1.65460 0.0905 -0.0971 0.0617
H -0.71849 -3.83059 1.08173 0.0198 0.0269 0.0574
H -0.47458 -3.95164 3.23471 0.0014 0.0031 0.0283
H -0.24747 -3.07996 5.52087 -0.0028 -0.0172 -0.0048
H -0.19576 -0.62434 5.89824 -0.0003 0.0012 0.0013
H -0.32579 0.90031 3.97501 -0.0053 -0.0072 0.0044
H 1.98635 -0.94126 1.85776 0.0175 -0.0049 -0.0105
H 4.30804 -0.70911 1.07068 -0.0070 0.0035 -0.0045
H 4.89714 1.07142 -0.54056 -0.0040 0.0083 -0.0032
H 3.14216 2.62253 -1.35895 0.0026 0.0024 0.0039
H 0.83015 2.38791 -0.59521 -0.0059 -0.0185 -0.0363
H -2.97909 1.80664 0.88033 -0.0290 0.0202 0.0034
H -3.85173 3.98468 1.67890 0.0004 0.0032 0.0065
H -2.38044 5.51696 2.94469 0.0012 0.0014 -0.0024
H -0.03717 4.88475 3.40782 -0.0049 0.0008 -0.0011
H 0.83517 2.70966 2.61938 -0.0088 0.0016 0.0028
O -3.07690 -1.60384 -2.21688 0.1487 -0.1127 -0.1505
S -4.06586 -0.76310 -1.42028 0.8027 -0.0252 0.5777
O -5.44223 -0.93523 -1.77143 0.0482 0.0099 -0.0124
O -3.67800 -1.12560 -0.00098 -0.1934 -0.1124 0.0903
O -3.49154 0.61590 -1.54070 -0.2636 0.2526 -0.2111
*/
So much for the calculated molecules

It was a triumphant deployment for a reserve squadron. Reserve units are less expensive than their active counterparts and arguably less glamorous. They include many part-time personnel but also possess, on average, older and more experienced people. But the Navy’s reward to the hard-fighting VFA-201, just four years after it pummeled Iraq, was to shut it down—part of deep and ongoing cuts to the reserve branch.

Today the Navy Reserve has four fighter squadrons—two with F/A-18As and two with F-5s. Both of the F-5 units and one of the Hornet units are strictly non-combat organizations. They fly “aggressor” missions, simulating enemy fighters in mock air battles with other squadrons.

VFA-204—the “River Rattlers,” based in New Orleans—is the only reserve fighter squadron with a combat role. It’s fighting to avoid VFA-201’s sad fate … and thus save the reserve’s war-ready jet fighters from total extinction.

But the sailing branch’s top brass seem ambivalent toward the squadron’s struggle.

Like many military reserve units, VFA-204 operates old, second-hand warplanes. Its dozen twin-engine F/A-18As rolled out of McDonnell Douglas’s St. Louis factory between 1989 and 1991. They’re some of the oldest fighters in the Navy—and badly outdated.

[What comes next are data records, not part of the page]
********
# 1
108
Properties=species:S:1:pos:R:3 method="wB97M-V/def2-TZVPD" total_charge=+1 lumo_energy_ev=-2.9
C 3.4054 -3.0583 4.7146
C 3.7581 -4.0531 3.9167
C 3.1103 -4.3451 2.5456
C 3.3361 -5.8708 2.3605
F 2.5957 -6.4201 1.3930
F 3.0636 -6.5350 3.5009
F 4.6346 -6.0644 2.0768
N 1.7090 -3.9003 2.6557
C 0.6370 -4.9152 2.6942
C -0.0023 -5.3338 1.3884
C -1.0053 -6.2925 1.4678
C -1.6448 -6.7414 0.3291
C -1.3004 -6.2483 -0.9317
C -2.0212 -6.7296 -2.1576
C -0.3000 -5.2955 -1.0020
C 0.3399 -4.8435 0.1449
C 1.6008 -2.6687 2.0795
N 0.5288 -1.8918 2.1744
C -0.6186 -2.1621 3.0694
C -1.8954 -2.7859 2.4766
C -2.1312 -2.6474 0.9637
C -3.1217 -1.5339 0.6151
C -3.2896 -1.3670 -0.8878
C 0.3682 -0.5882 1.4956
C 0.4172 0.5792 2.4889
P 0.7477 2.2229 1.7891
O 2.1746 2.5494 1.8372
O -0.1415 3.1675 2.6985
C -1.5747 3.1715 2.5892
C -2.2017 3.2326 3.9696
O 0.0111 2.3023 0.3924
C 0.6935 1.8971 -0.8310
C 0.4199 2.9152 -1.9104
N 2.7581 -2.3037 1.4060
P 3.3486 -0.6432 1.2652
N 3.2189 -0.0440 -0.1555
C 3.7338 -3.4195 1.4496
I 3.8327 -4.2827 -0.5729
C 5.1886 -3.0891 1.8040
C 6.1197 -2.6233 0.6843
O 6.1218 -1.5017 0.2662
H 2.7092 -2.2754 4.4390
H 3.8336 -2.9930 5.7050
H 4.5737 -4.6942 4.2255
H -0.1496 -4.6157 3.3741
H 1.0475 -5.7947 3.1818
H -1.3019 -6.6887 2.4322
H -2.4330 -7.4781 0.4097
H -3.0935 -6.5625 -2.0388
H -1.7149 -6.1795 -3.0439
H -1.8840 -7.7983 -2.3097
H -0.0172 -4.8942 -1.9661
H 1.0959 -4.0811 0.0412
H -0.2411 -2.7226 3.9188
H -0.8808 -1.1991 3.4966
H -2.7290 -2.2848 2.9741
H -1.9992 -3.8298 2.7579
H -2.5098 -3.5924 0.5724
H -1.2028 -2.4481 0.4280
H -4.0737 -1.7375 1.1086
H -2.7526 -0.5955 1.0479
H -4.1041 -0.6856 -1.1247
H -2.3821 -0.9401 -1.3212
H -3.4638 -2.3310 -1.3643
H -0.6322 -0.5828 1.0684
H 1.0404 -0.4963 0.6455
H -0.5722 0.6708 2.9418
H 1.1118 0.4158 3.3108
H -1.9386 2.2936 2.0508
H -1.8724 4.0336 1.9946
H -2.3010 4.2536 4.3286
H -3.2073 2.8122 3.9232
H -1.6332 2.6398 4.6838
H 0.2789 0.9312 -1.1233
H 1.7603 1.8115 -0.6478
H -0.6290 2.9314 -2.2014
H 1.0179 2.6813 -2.7898
H 0.6846 3.9161 -1.5724
H 2.6396 -0.0409 2.3101
H 4.6599 -0.6202 1.7363
H 2.8562 -0.7040 -0.8339
H 5.6342 -3.9900 2.2190
H 5.2359 -2.3446 2.5977
H 6.8451 -3.3652 0.3179
C -3.9354 7.6510 -2.7382
O -3.9611 7.5473 -4.1445
C -3.2839 8.5826 -4.8448
C -1.9632 8.1248 -5.4231
N -0.9681 7.8830 -4.3890
C 0.2262 7.1562 -4.8086
C 0.0896 5.8116 -5.5142
O -0.3255 4.7324 -4.6951
C -1.7043 4.7104 -4.3856
H -4.7088 6.9885 -2.3523
H -2.9753 7.3412 -2.3079
H -4.1517 8.6715 -2.4092
H -3.1496 9.4571 -4.2003
H -3.9315 8.8747 -5.6748
H -1.5933 8.9078 -6.0930
H -2.1668 7.2376 -6.0369
H -1.3987 7.3944 -3.6169
H 0.8323 6.9944 -3.9138
H 0.8062 7.8132 -5.4654
H 1.0892 5.5370 -5.8577
H -0.5417 5.8689 -6.4094
H -2.3197 5.0134 -5.2364
H -1.9294 5.3493 -3.5263
H -1.9664 3.6876 -4.1137

# 2
111
Properties=species:S:1:pos:R:3 method="wB97M-V/def2-TZVPD" total_charge=+1 lumo_energy_ev=-4.5
C 5.3564 -1.2260 0.7591
C 4.9529 -0.2006 -0.2664
O 3.7862 -0.0220 -0.5492
N 5.9574 0.5601 -0.8619
C 6.6621 1.4930 0.0179
********
[Back to the page]

As originally built, early Hornets were good for 6,000 flight hours. The Navy and Marines have already extended that to 8,000 … and are trying to add another thousand hours, in order to keep at least some of their roughly 600 first-generation F/A-18As and F/A-18Cs in the air until 2030. Adding the extra hours requires a Hornet to spend as long as a year in deep maintenance.

“We’re in uncharted territory, trying to coax another 1,000 hours out of jets that already have been overflown by 2,000 hours,” Cmdr. Brian Hennessey, then the River Rattlers’ skipper, explained in 2013.

**Inserted here: records of molecules**
____________
No. 1
Here is a molecular structure, C19H47FKN4Na2O10PS3 in a non-equilibrium geometry from OMol25. Energies are from ωB97M-V with the def2-TZVPD basis set.

Summary:
- strongest force on any atom (eV/A) = 3.822
- LUMO level (eV) = -3.69
- gap between HOMO and LUMO (eV) = 1.45

ORCA input file:
```
! wB97M-V def2-TZVPD RIJCOSX def2/J DEFGRID3
* xyz 0 1
C -1.70 -5.74 1.72
C -2.34 -4.44 1.05
O -1.50 -3.28 1.16
C -0.75 -3.04 -0.03
C 0.79 -2.84 0.41
N 1.42 -1.67 -0.18
C 1.63 -1.72 -1.65
C 1.65 -3.14 -2.34
N 0.58 -3.61 -2.91
C 2.52 -1.11 0.59
N 3.42 -1.82 1.49
P 2.97 -2.04 3.14
S 4.18 -1.16 4.42
C 4.52 -2.61 0.96
C 5.94 -1.86 1.20
C 4.47 -3.06 -0.54
C 5.90 -3.74 -0.99
N 2.68 0.30 0.56
S 3.96 1.02 1.52
C 1.86 1.27 -0.22
C 1.45 2.61 0.63
C -0.06 3.06 0.30
O -0.24 4.48 0.40
C -0.28 4.90 1.77
H -1.35 -5.45 2.75
H -0.84 -6.16 1.14
H -2.49 -6.54 1.88
H -2.70 -4.62 0.00
H -3.27 -4.22 1.66
H -1.14 -2.10 -0.52
H -0.79 -3.96 -0.67
H 0.72 -2.65 1.53
H 1.38 -3.81 0.33
H 2.55 -1.11 -1.92
H 0.77 -1.16 -2.13
H 2.55 -3.81 -2.45
H -0.19 -2.93 -2.78
H 2.78 -3.42 3.52
H 1.67 -1.42 3.37
H 4.62 -3.56 1.58
H 6.69 -2.65 1.51
H 6.31 -1.34 0.28
H 5.88 -1.15 2.07
H 4.28 -2.25 -1.29
H 3.69 -3.92 -0.59
H 5.68 -4.19 -2.04
H 6.70 -2.99 -1.15
H 6.20 -4.62 -0.31
H 5.11 0.89 0.74
H 2.50 1.66 -1.07
H 0.89 0.87 -0.63
H 2.10 3.46 0.28
H 1.47 2.46 1.77
H -0.40 2.69 -0.72
H -0.74 2.57 1.06
H 0.73 5.22 2.18
H -0.94 5.84 1.83
H -0.79 4.15 2.46
O -0.38 -0.30 -3.69
H 0.25 0.04 -4.33
H -1.09 -0.67 -4.22
C -4.37 3.77 0.73
C -3.62 4.56 -0.33
C -4.55 4.44 -1.52
O -5.88 4.33 -1.00
C -5.81 4.11 0.41
H -4.08 4.03 1.75
H -4.19 2.70 0.59
H -3.54 5.61 -0.02
H -2.62 4.19 -0.53
H -4.34 3.53 -2.09
H -4.48 5.30 -2.19
H -6.13 5.03 0.92
H -6.50 3.31 0.69
O -3.19 0.29 -0.55
S -4.12 -0.82 -0.83
O -3.39 -1.88 -1.57
O -5.23 -0.31 -1.66
O -4.65 -1.36 0.43
Na 4.67 -5.38 -1.66
O -2.43 7.51 1.03
H -1.76 6.99 0.56
H -3.05 7.76 0.34
Na -1.90 -0.10 -5.45
F -1.06 2.35 -3.79
O -8.69 5.01 -0.40
H -7.82 5.09 -0.80
K 1.25 0.30 3.04
*
```



No. 2
Here is a molecular structure, C15H23NNbO4 in a non-equilibrium geometry from OMol25. Energies are from ωB97M-V with the def2-TZVPD basis set.

Summary:
- strongest force on any atom (eV/A) = 2.724
- LUMO level (eV) = 2.16
- gap between HOMO and LUMO (eV) = 7.36

ORCA input file:
```
! wB97M-V def2-TZVPD RIJCOSX def2/J DEFGRID3
* xyz -1 1
C -3.51 -1.77 -1.84
C -2.98 -2.29 -3.18
O -3.38 -3.31 -3.69
O -2.03 -1.54 -3.85
C -0.84 -1.46 -3.00
O -0.10 -2.40 -3.04
C -0.67 -0.18 -2.23
Nb 0.60 -0.27 -0.31
N 2.21 -1.29 -1.25
C -0.94 0.78 0.97
C -0.83 2.33 1.19
C 0.58 2.91 1.31
C 1.52 2.48 2.23
C 2.80 3.03 2.24
C 3.12 4.01 1.32
C 2.19 4.49 0.39
C 0.93 3.92 0.41
C -0.35 -2.26 0.37
C 0.72 -3.03 1.19
C 0.10 -4.21 2.20
O 0.71 -2.77 2.54
H -2.95 -2.19 -0.99
H -3.52 -0.67 -1.81
H -4.56 -2.09 -1.78
H -0.22 0.56 -2.91
H -1.65 0.23 -1.92
H 1.39 1.28 -0.86
H 1.67 -0.30 1.19
H 2.99 -1.32 -0.59
H 2.50 -0.66 -2.00
H -0.90 0.31 1.98
H -1.95 0.57 0.58
H -1.40 2.85 0.41
H -1.33 2.56 2.15
H 1.23 1.69 2.92
____________

Even with the life-extension, half the River Rattlers’ Hornets will age out between 2018 and 2022, according to a presentation by Rear Adm. Mark Leavitt that War Is Boring obtained through the Freedom of Information Act.

Leavitt is the chief of the Navy Reserve’s flying squadrons. He warned that all of VFA-204’s F/A-18s will be “dead” by 2028.

The old Hornets also lack the latest weapons, software, electronic protections and communications that the Navy’s other fighters possess. The River Rattlers’ F/A-18s are so outmoded that America’s regional commanders have stopped including them in normal war plans—they’re too vulnerable.

At top — VFA-204 trains with U.S. Air Force F-15s. Above — VFA-204. Navy photos

“Non-deployable” is how the Navy Reserve has described the planes. Since it’s unsuitable for combat, VFA-204 has joined the other three reserve fighter squadrons in solely flying aggressor training missions.

Twelve years ago, a Navy Reserve fighter squadron went to war in Iraq. Today, none of the surviving reserve fighter units are war-ready—even though one of them should be.

Indeed, the Navy could really benefit from a fully deployable VFA-204. The sailing branch’s carrier air wings are short several fighter squadrons. If the River Rattlers possessed reasonably modern planes, the unit could help alleviate the shortfall, Leavitt pointed out in his presentation.

But despite the reserve jets’ age and irrelevance and the air-wing shortfall, the Navy and Navy Reserve—both of which have their own accounts for purchasing warplanes—have no firm plans to replace the VFA-204 Hornets. And that bodes poorly for the River Rattlers’ future.

But the squadron refuses to go gently. Leavitt and the unit have been pushing the Navy Reserve to buy VFA-204 and the other reserve Hornet squadron an allotment of 24 F/A-18E Super Hornets, the bigger, more powerful fighters that Boeing currently builds for the active Navy.

The Super Hornet is actually pretty cheap by the standards of current warplanes. The F/A-18E retails for $55 million, around a third the price of the F-35C stealth fighter that the active Navy is buying from Lockheed Martin.

Even so, the Navy Reserve has rebuffed the Super Hornet entreaties, instead preferring to spend its money on transport planes such as the C-40 and KC-130J, costing $73 million and $88 million, respectively. Perhaps not coincidentally, Vice Adm. Robin Braun—current commander of the Navy Reserve—is a former C-130 pilot.

To be fair, the active Navy could also buy extra Super Hornets and gift them to VFA-204. Or, as an alternative, the active Navy could keep the Supers, assign them to a squadron possessing, say, late 1990s-vintage F/A-18Cs and then give the displaced C-model jets to VFA-204 to replace the much older F/A-18As.

But it’s more likely that the Navy would donate any F/A-18Cs it frees up to the Marines, as the Corps has recently announced its intention to keep its own rather weary Hornet squadrons flying until 2030, partially compensating for the Marines’ very slow acquisition of the very expensive F-35B stealth jet. Leavitt admitted that he “assumed USMC priority for ‘left-overs.’”

In any event, the window of opportunity for buying Super Hornets for VFA-204 could close soon. The Navy paid for its last Supers in its 2015 budget and is now shifting funding into a protracted purchase of F-35s for active-duty squadrons. Barring additional orders, Boeing’s F/A-18E line could shut down in 2017.

The Navy Reserve has a little over a year to save the River Rattlers, its last combat fighter squadron.

